## Entries
┌──
A geometry-optimized RbGeB3O7 structure. Source: the Materials Project, functional r²SCAN.

Computed properties:
The total moment is 0.00 μB/f.u. For the formation enthalpy at 0 K, the calculation gives -2403 meV per atom.

```
RbGeB3O7
1.0
9.3875 0.0000 0.0000
0.0000 9.4647 0.0000
0.0000 0.0000 6.9841
Rb Ge B O
4 4 12 28
Cartesian
0.1680 1.6432 0.0000
4.5257 6.3756 3.4920
4.8618 3.0891 0.0000
9.2194 7.8215 3.4920
2.2785 5.6743 0.1203
2.4153 0.9420 3.6123
6.9722 8.5227 0.1203
7.1090 3.7904 3.6123
0.2331 2.6052 3.8596
1.4201 4.0167 2.1735
1.6635 4.5636 4.4879
3.0303 9.2960 0.9959
3.2736 8.7490 5.6656
4.4606 7.3375 0.3676
4.9268 2.1271 3.8596
6.1138 0.7157 2.1735
6.3572 0.1687 4.4879
7.7240 4.9010 0.9959
7.9674 5.4480 5.6656
9.1544 6.8595 0.3676
0.5782 3.0090 2.4848
0.7902 1.2706 4.1371
0.7898 3.5947 4.8327
1.2089 6.9745 0.5356
1.8074 4.1385 0.8587
1.9224 4.8666 3.1446
2.3415 0.6211 1.8789
2.3522 5.3535 5.3709
2.7713 0.1343 6.6366
2.8863 8.8708 4.3507
3.4848 2.2421 4.0276
3.9035 6.0030 0.6450
3.9039 8.3270 1.3406
4.1156 7.7414 5.9769
5.2719 1.7233 2.4848
5.4835 1.1377 4.8327
5.4839 3.4617 4.1371
5.9027 7.2226 0.5356
6.5011 0.5939 0.8587
6.6161 9.3304 3.1446
7.0352 4.1112 1.8789
7.0459 8.8436 5.3709
7.4651 4.5981 6.6366
7.5801 5.3262 4.3507
8.1785 2.4902 4.0276
8.5976 5.8700 1.3406
8.5973 8.1940 0.6450
8.8093 6.4557 5.9769
```

***

A geometry-optimized Tb2GeB2O8 structure. Source: the Materials Project, functional r²SCAN.

Computed properties:
The total moment is 0.00 μB/f.u. For the formation enthalpy at 0 K, the calculation gives -3045 meV per atom.

```
Tb2GeB2O8
1.0
13.4338 0.0000 0.0000
0.0000 4.3881 0.0000
0.0000 0.0000 9.2419
Tb Ge B O
8 4 8 32
Cartesian
1.8796 0.1776 0.2319
1.8796 4.2105 4.8528
4.8373 2.0164 4.8528
4.8373 2.3716 0.2319
8.5966 2.0164 9.0100
8.5966 2.3716 4.3891
11.5542 0.1776 4.3891
11.5542 4.2105 9.0100
0.0000 1.8744 6.9314
0.0000 2.5136 2.3105
6.7169 0.3196 2.3105
6.7169 4.0685 6.9314
2.6910 2.0626 2.7423
2.6910 2.3255 7.3632
4.0259 0.1315 7.3632
4.0259 4.2566 2.7423
9.4079 0.1315 6.4996
9.4079 4.2566 1.8786
10.7429 2.0626 1.8786
10.7429 2.3255 6.4996
0.0578 0.8920 8.3503
0.0578 3.4961 3.7294
1.4396 1.4818 2.1432
1.4396 2.9062 6.7641
2.5805 2.0288 4.1781
2.5805 2.3593 8.7990
2.8755 0.9370 6.8531
2.8755 3.4511 2.2322
3.8415 1.2571 2.2322
3.8415 3.1310 6.8531
4.1364 0.1653 8.7990
4.1364 4.2228 4.1781
5.2773 0.7122 6.7641
5.2773 3.6759 2.1432
6.6592 1.3020 3.7294
6.6592 3.0860 8.3503
6.7747 1.3020 0.8916
6.7747 3.0860 5.5125
8.1565 0.7122 7.0987
8.1565 3.6759 2.4778
9.2975 0.1653 5.0638
9.2975 4.2228 0.4428
9.5924 1.2571 2.3887
9.5924 3.1310 7.0097
10.5584 0.9370 7.0097
10.5584 3.4511 2.3887
10.8533 2.0288 0.4428
10.8533 2.3593 5.0638
11.9942 1.4818 2.4778
11.9942 2.9062 7.0987
13.3761 0.8920 5.5125
13.3761 3.4961 0.8916
```

***

A geometry-optimized Zn10GeB8Rh18 structure. Source: the Materials Project, functional r²SCAN.

Computed properties:
The total moment is 0.00 μB/f.u. For the formation enthalpy at 0 K, the calculation gives -474 meV per atom.

```
Zn10GeB8Rh18
1.0
17.7357 0.0000 0.0000
0.0000 17.7357 0.0000
0.0000 0.0000 2.8623
Zn Ge B Rh
20 2 16 36
Cartesian
0.5583 3.4613 0.0000
0.8876 7.9802 0.0000
3.0236 5.8443 0.0000
3.4613 17.1774 0.0000
3.7824 12.6502 0.0000
5.0855 3.7824 0.0000
5.4065 8.3096 0.0000
5.8443 14.7121 0.0000
7.9802 16.8481 0.0000
8.3096 12.3292 0.0000
9.4261 5.4065 0.0000
9.7554 0.8876 0.0000
11.8914 3.0236 0.0000
12.3292 9.4261 0.0000
12.6502 13.9533 0.0000
13.9533 5.0855 0.0000
14.2744 0.5583 0.0000
14.7121 11.8914 0.0000
16.8481 9.7554 0.0000
17.1774 14.2744 0.0000
0.0000 0.0000 0.0000
8.8678 8.8678 0.0000
0.6795 11.7832 0.0000
2.1632 14.7458 0.0000
2.9153 9.5474 0.0000
2.9899 2.1632 0.0000
5.8779 11.0310 0.0000
5.9525 0.6795 0.0000
6.7046 5.8779 0.0000
8.1883 2.9153 0.0000
9.5474 14.8203 0.0000
11.0310 11.8578 0.0000
11.7832 17.0561 0.0000
11.8578 6.7046 0.0000
14.7458 15.5725 0.0000
14.8203 8.1883 0.0000
15.5725 2.9899 0.0000
17.0561 5.9525 0.0000
0.8610 5.8002 1.4311
└──
## Request
Retype the rows above from the first line to the one with "11.7832 17.0561" unchanged.
## Completed
A geometry-optimized RbGeB3O7 structure. Source: the Materials Project, functional r²SCAN.

Computed properties:
The total moment is 0.00 μB/f.u. For the formation enthalpy at 0 K, the calculation gives -2403 meV per atom.

```
RbGeB3O7
1.0
9.3875 0.0000 0.0000
0.0000 9.4647 0.0000
0.0000 0.0000 6.9841
Rb Ge B O
4 4 12 28
Cartesian
0.1680 1.6432 0.0000
4.5257 6.3756 3.4920
4.8618 3.0891 0.0000
9.2194 7.8215 3.4920
2.2785 5.6743 0.1203
2.4153 0.9420 3.6123
6.9722 8.5227 0.1203
7.1090 3.7904 3.6123
0.2331 2.6052 3.8596
1.4201 4.0167 2.1735
1.6635 4.5636 4.4879
3.0303 9.2960 0.9959
3.2736 8.7490 5.6656
4.4606 7.3375 0.3676
4.9268 2.1271 3.8596
6.1138 0.7157 2.1735
6.3572 0.1687 4.4879
7.7240 4.9010 0.9959
7.9674 5.4480 5.6656
9.1544 6.8595 0.3676
0.5782 3.0090 2.4848
0.7902 1.2706 4.1371
0.7898 3.5947 4.8327
1.2089 6.9745 0.5356
1.8074 4.1385 0.8587
1.9224 4.8666 3.1446
2.3415 0.6211 1.8789
2.3522 5.3535 5.3709
2.7713 0.1343 6.6366
2.8863 8.8708 4.3507
3.4848 2.2421 4.0276
3.9035 6.0030 0.6450
3.9039 8.3270 1.3406
4.1156 7.7414 5.9769
5.2719 1.7233 2.4848
5.4835 1.1377 4.8327
5.4839 3.4617 4.1371
5.9027 7.2226 0.5356
6.5011 0.5939 0.8587
6.6161 9.3304 3.1446
7.0352 4.1112 1.8789
7.0459 8.8436 5.3709
7.4651 4.5981 6.6366
7.5801 5.3262 4.3507
8.1785 2.4902 4.0276
8.5976 5.8700 1.3406
8.5973 8.1940 0.6450
8.8093 6.4557 5.9769
```

***

A geometry-optimized Tb2GeB2O8 structure. Source: the Materials Project, functional r²SCAN.

Computed properties:
The total moment is 0.00 μB/f.u. For the formation enthalpy at 0 K, the calculation gives -3045 meV per atom.

```
Tb2GeB2O8
1.0
13.4338 0.0000 0.0000
0.0000 4.3881 0.0000
0.0000 0.0000 9.2419
Tb Ge B O
8 4 8 32
Cartesian
1.8796 0.1776 0.2319
1.8796 4.2105 4.8528
4.8373 2.0164 4.8528
4.8373 2.3716 0.2319
8.5966 2.0164 9.0100
8.5966 2.3716 4.3891
11.5542 0.1776 4.3891
11.5542 4.2105 9.0100
0.0000 1.8744 6.9314
0.0000 2.5136 2.3105
6.7169 0.3196 2.3105
6.7169 4.0685 6.9314
2.6910 2.0626 2.7423
2.6910 2.3255 7.3632
4.0259 0.1315 7.3632
4.0259 4.2566 2.7423
9.4079 0.1315 6.4996
9.4079 4.2566 1.8786
10.7429 2.0626 1.8786
10.7429 2.3255 6.4996
0.0578 0.8920 8.3503
0.0578 3.4961 3.7294
1.4396 1.4818 2.1432
1.4396 2.9062 6.7641
2.5805 2.0288 4.1781
2.5805 2.3593 8.7990
2.8755 0.9370 6.8531
2.8755 3.4511 2.2322
3.8415 1.2571 2.2322
3.8415 3.1310 6.8531
4.1364 0.1653 8.7990
4.1364 4.2228 4.1781
5.2773 0.7122 6.7641
5.2773 3.6759 2.1432
6.6592 1.3020 3.7294
6.6592 3.0860 8.3503
6.7747 1.3020 0.8916
6.7747 3.0860 5.5125
8.1565 0.7122 7.0987
8.1565 3.6759 2.4778
9.2975 0.1653 5.0638
9.2975 4.2228 0.4428
9.5924 1.2571 2.3887
9.5924 3.1310 7.0097
10.5584 0.9370 7.0097
10.5584 3.4511 2.3887
10.8533 2.0288 0.4428
10.8533 2.3593 5.0638
11.9942 1.4818 2.4778
11.9942 2.9062 7.0987
13.3761 0.8920 5.5125
13.3761 3.4961 0.8916
```

***

A geometry-optimized Zn10GeB8Rh18 structure. Source: the Materials Project, functional r²SCAN.

Computed properties:
The total moment is 0.00 μB/f.u. For the formation enthalpy at 0 K, the calculation gives -474 meV per atom.

```
Zn10GeB8Rh18
1.0
17.7357 0.0000 0.0000
0.0000 17.7357 0.0000
0.0000 0.0000 2.8623
Zn Ge B Rh
20 2 16 36
Cartesian
0.5583 3.4613 0.0000
0.8876 7.9802 0.0000
3.0236 5.8443 0.0000
3.4613 17.1774 0.0000
3.7824 12.6502 0.0000
5.0855 3.7824 0.0000
5.4065 8.3096 0.0000
5.8443 14.7121 0.0000
7.9802 16.8481 0.0000
8.3096 12.3292 0.0000
9.4261 5.4065 0.0000
9.7554 0.8876 0.0000
11.8914 3.0236 0.0000
12.3292 9.4261 0.0000
12.6502 13.9533 0.0000
13.9533 5.0855 0.0000
14.2744 0.5583 0.0000
14.7121 11.8914 0.0000
16.8481 9.7554 0.0000
17.1774 14.2744 0.0000
0.0000 0.0000 0.0000
8.8678 8.8678 0.0000
0.6795 11.7832 0.0000
2.1632 14.7458 0.0000
2.9153 9.5474 0.0000
2.9899 2.1632 0.0000
5.8779 11.0310 0.0000
5.9525 0.6795 0.0000
6.7046 5.8779 0.0000
8.1883 2.9153 0.0000
9.5474 14.8203 0.0000
11.0310 11.8578 0.0000
11.7832 17.0561 0.0000